
Tuesday 6 September 2016

Alex Podolinsky & Demeter Bio-dynamics

Modern Australia has produced two systems of organic agriculture that are now well-known the world over. One of them is profound and shows the way ahead for natural farming; the other is rubbish and is a retrograde throw-back to hunter-gatherer methods. One is populated by serious farmers, men of the soil, who are producing high quality chemical-free food on an industrial scale for a hungry world; the other is populated by greenies, scavengers, ferals, hobby farmers, retired sociologists and a wide assortment of hippies with dubious standards of personal hygiene, all of whom make a lot of noise but produce very little. The profound system is Demeter bio-dynamics.  The hunter-gatherer throwback goes by the name of permaculture. 

The present author has vented his objections to the second of these in an unpopular post to this journal some time ago and makes no secret of them. See the post here. After nearly thirty years of dealing with permaculturists in southern Australia, he is confirmed in his low opinion of permaculture, its results and its clientelle. On the other hand, he has been actively involved in and also loitered on the fringes of the biodynamic movement for the same length of time, and has recently become reacquainted with long-time bio-dynamic farmers, and his positive experience of that system and high regard for it is undiminished. 

This endorsement requires qualification, though. There is a generic form of bio-dynamics, and then there is Demeter bio-dynamics. It is the latter of these two that deserves every praise. Both have their origin in a series of lectures on agriculture by the Austrian mystic and polymath, Rudolf Steiner, in the early 1920s. These lectures spawned a movement that has since taken many forms. What we will call "Demeter bio-dynamics" is one such form, and is a specific adaptation of Dr. Steiner's ideas to the realities of modern farming, in the first instance as they are encountered in the challenging environment of rain-starved poor-soiled broad-acre Australia. We will call it Demeter bio-dynamics because it operates and sells produce under the Demeter trademark, thus:

This trademark distinguishes this particular system of bio-dynamics from others.  Practitioners of the system found it necessary to set up appropriate legal definitions and commercial safeguards in order to avoid unneccesary confusions. To be frank, many expressions of generic bio-dynamics are rubbish too and attract a similar cohort to permaculture with much the same outcomes. Demeter bio-dynamics, on the other hand, is a first-class professional affair with a long track record of solid results backed up with a coherent body of theory and a tradition of independent research. It goes about its mission quietly and without fanfare. It is, without exaggeration, the premiere mode of organic farming in the world today. There are hundreds of successful, profitable farms and millions of acres of Australian farmland under Demeter bio-dynamic cultivation, along with smaller operations all around the world. Demeter is, in fact, the biggest producer of organic food on the planet today. 

Although many fine people have contributed to the development and refinement of Demeter bio-dynamics, it is finally the child of one man, a post-war European immigrant to Australia, Alex Podolinsky. This post concerns him. Although a versatile genius with many accomplishments to his name - he is an architect, amongst other things - he will go down in history as the man who saved bio-dynamics from half-witted hippies and converted it into a viable system of practical farming for real farmers as Dr. Steiner always intended. Born in 1925 - and so over ninety years old as of this posting - he is the grandson of the pioneering Ukranian eco-economist Sergie Podolinsky. He was himself instructed in the theory and methods of bio-dynamics by direct students of Dr. Steiner in Switzerland in the late 1930s and studied it thereafter, deciding at an early age that farming was his calling. 

Nothing in his early experiences of European farming, though, prepared him for the vastly different conditions under which farming is conducted in Australia. After immigrating to the great south land he bought a dairy farm near the mountain hamlet of Powelltown in the state of Victoria and from there set about completely rethinking the bio-dynamic system for Australian conditions. In particular, he realised that Steiner had said nothing relevant to the broad-acre dryland farming that was the norm in Australia; the whole matter would need to be reconsidered. For decades he worked closely with Australian farmers - real farmers - and honed his methods into a successful system. The turning point in this development was perfecting a mechanical means of stirring the "preparations" that Steiner had outlined in his lectures. Steiner had insisted they be stirred by hand. Podolinsky knew that this was utterly unfeasible in Australian conditions. He defied the purists and, assisted by a farmer named Trevor Twigg, designed a stirring machine that matched hand-stirring as nearly as possible. It was a breakthrough. With such machines it was possible to apply the bio-dynamic "preparations" to Australian-sized farms.

He also realised that Australian conditions, far more than the conditions prevailing in Europe, required special emphasis upon the "cow horn preparation" - enumerated 'Preparation 500" - that Steiner had sketched in his lectures. Steiner had indicated that much experimentation would be required before this preparation, like the others, could be perfected. Having learnt the basic technique of making the "preps" in Switzerland, Mr. Podolinsky set about refining the method through careful observation and application. Others, taking Dr. Steiner's sketch as gospel, went about making the preparations in a slap-dash way and supposed them to be either some form of pagan ritual or else a magic potion. Podolinsky understood them to be adjuncts to the inner processes of nature and approached them in that way. The Preparation 500 he produced on his farm in Poweltown was vastly superior to that being made and used by others.  He called it a "humus preperation", the purpose of which was to increase the consolidation of organic matter into stable humus in the living processes of soil. This, he realised, was exactly what was so lacking in Australia's mineralized, depleted soils, a land devoid of large ruminants for aeons. 

Molecular data, as found in the file >
=====
--- i ---
The molecule C6H8, computed with the ωB97M-V functional and the def2-TZVPD basis.

XYZ file:
```
14
Properties=species:S:1:pos:R:3
C 1.812 0.237 -0.009
C -0.299 -0.017 -1.463
C 0.453 0.778 -0.322
C -1.078 -1.022 1.425
C -0.674 0.261 0.647
C -2.016 -0.138 1.049
H 0.092 -0.978 -1.836
H 2.414 1.089 0.312
H -0.823 0.619 -2.174
H 1.784 -0.649 0.756
H 2.263 -0.179 -0.914
H -1.063 -1.938 1.849
H 0.237 1.823 -0.371
H -3.102 0.116 1.051
```

Computed properties:
LUMO level (alpha / beta)   1.08 / 1.09 eV
Gap between HOMO and LUMO (alpha / beta)   7.48 / 7.48 eV
E_HOMO (alpha / beta)   -6.39 / -6.40 eV

How is the electron density shared among the atoms? According to Mulliken, the charges in e are: atom 1 (C): -1.1757, atom 2 (C): -1.1307, atom 3 (C): 0.6544, atom 4 (C): -0.5494, atom 5 (C): 0.0280, atom 6 (C): -0.4463, atom 7 (H): 0.2939, atom 8 (H): 0.2833, atom 9 (H): 0.2838, atom 10 (H): 0.2666, atom 11 (H): 0.3233, atom 12 (H): 0.4468, atom 13 (H): 0.4103, atom 14 (H): 0.3117

---

--- ii ---
A cluster of 4 separate species, C6H8 in total, computed with the ωB97M-V functional and the def2-TZVPD basis.

XYZ file:
```
14
Properties=species:S:1:pos:R:3
C 2.037 -1.481 -1.561
C 0.375 -0.170 0.027
C -0.671 0.632 0.688
C -1.883 0.927 -0.239
C -0.728 0.934 1.982
C 1.152 -0.834 -0.607
H -2.521 1.817 0.253
H 2.532 -0.341 -3.023
H -1.581 1.243 -1.316
H 0.877 -2.955 -2.099
H -1.750 1.316 2.397
H -2.552 -0.013 -0.240
H 3.247 -1.847 -0.432
H 0.057 0.737 2.721
```

Computed properties:
LUMO level   -1.53 eV
Gap between HOMO and LUMO   7.20 eV
E_HOMO   -8.72 eV

How is the electron density shared among the atoms? According to Mulliken, the charges in e are: atom 1 (C): -1.1050, atom 2 (C): -0.1917, atom 3 (C): 0.3558, atom 4 (C): -0.9957, atom 5 (C): -0.8994, atom 6 (C): 0.8624, atom 7 (H): 0.3042, atom 8 (H): 0.2033, atom 9 (H): 0.2971, atom 10 (H): 0.1693, atom 11 (H): 0.2077, atom 12 (H): 0.2483, atom 13 (H): 0.2340, atom 14 (H): 0.3097

---

Energy above the most stable structure, in kJ/mol: i 0.0; ii 521.9

---

--- i ---
The molecule C6H8, computed with the ωB97M-V functional and the def2-TZVPD basis.

XYZ file:
```
14
Properties=species:S:1:pos:R:3
C 1.865 -0.342 0.882
C 0.617 -0.325 0.871
C 3.146 -0.237 0.819
C -1.121 -0.345 -0.663
C -0.701 1.164 -1.041
C -0.727 -0.684 0.740
H 0.360 1.388 -1.041
H -1.208 1.897 -0.428
H -0.864 -1.713 1.032
H -1.020 1.300 -2.069
H -0.667 -1.040 -1.366
H -2.198 -0.374 -0.765
H -1.311 -0.125 1.460
H 3.829 -0.565 1.568
```

Computed properties:
LUMO level (alpha / beta)   -0.73 / -0.76 eV
Gap between HOMO and LUMO (alpha / beta)   7.05 / 7.03 eV
E_HOMO (alpha / beta)   -7.78 / -7.78 eV
=====

The cornerstone of his farming method became judicious applications of the "cow horn preparation" - a sort of potentized dilution of cow manure - stirred in his stirring machines and sprayed upon pastures using carefully adapted farm equipment. Using Preparation 500, without superphosphate and the other chemicals which are standard in Australian agriculture, he was able to revitalize tired and depleted soils, renovate soil structure and increase the humus content to depth. Combined with other bio-dynamic farm management techniques, in many cases the results were nothing short of miraculous. His own farm in Powelltown was the model. While surrounding farms withered and waned during droughts, his remained green and productive using no chemicals or brought-in fertilizers, artificial or natural. The ideal farm in bio-dynamics is a self-contained organism. It can produce a surplus year after year without any imputs from outside. This is at the centre of Steiner's agricultural vision, a vision that Alex Podolinsky made real: the farm as a living, breathing cornucopia drawing on the vital forces of the wider cosmos.


Corn horns. These are filled with cow manure, laid in pits (as shown) and buried over winter to make "Preparation 500". 

No great pioneer is without his detractors, however, and Mr. Podolinsky, it must be admitted, found an unusual number of enemies over the years. To achieve the success he did required upsetting many people along the way. As all who have encountered him over the years will testify, by temperament he is a "my-way-or-the-highway" sort of man, unbending, convinced of his own methods, and not inclined to suffer fools or dilettantes. In character he is more like a temperamental and authoritarian European orchestral conductor or violinist with personal traits that often clash with the more casual and egalitarian side of Australians. His involvement in the Steiner education movement ended in schism and lasting resentment. The monopoly he created of bio-dynamic methods was unwelcome in many quarters. He happily alienated the aforementioned hippie contingent and other useless types who have tended to populate the alternative agriculture scene. Even more, his disgressions from Steiner purism and claims to know better won him a wealth of detractors among Anthroposophists, members of Steiner's Anthroposophical Society. A certain Steinerite of the present author's acquaintance once described Mr. Podolinsky to him as "evil". Others have not hesitated to call him an "egoist", a "Nazi", a "fascist", or worse. This is to say nothing of the fact that the mainstream farming establishment were always ready to dismiss him as a crank or a charlatan and to call his methods "muck and magic." 

Wisely, Podolinsky went his own way and refrained from engaging with his critics; instead he let his success speak for itself. As opposed to his army of detractors, there is a legion of dedicated followers and enthusiasts who regard him as the herald of a coming good. This includes many very sober, down-to-earth, salt-of-the-land, no-nonsense, hardworking Australian farmers, a good many of whom Podolinsky saved from bankruptcy and ruin. Desperate, at their wits end, drowning in debt, facing divorce, living on farms destroyed by artificial fertilizers and pesticides, these men would ring him at Powelltown in the middle of the night, purely on a rumor that he had saved other farms with his unorthodox methods. After hearing their plight, Mr. Podolinsky would inform them that, yes, he could save their farm - and possibly their marriage too - but only on the condition that they do things his way and follow his advice to the letter. Bio-dynamics is a delicate and subtle thing. Some of it might seem strange, but it works if it is done correctly, and, if they complied with the rules, he could offer them the prospect of selling their produce under the Demeter label at good prices in Europe, Japan and elsewhere. In an age when more and more family farms are going to the wall, and agriculture in general is unprofitable, Demeter bio-dynamics has an expanding market. And better still, it rehabilitates the land so that farms are a worthy legacy for future generations. If it is easy to find people who have clashed at some time with Alex Podolinsky, it is also easy to find people who regard him as an agricultural messiah, a man who has done more for honest farmers than almost anyone else. 

Some might say that Podolinsky's methods would work just as well without the "magic potions". If so, well and good. He has, however, conducted extensive research and has built up a considerable body of evidence to show that his "500" - if applied correctly and in the right conditions - has a marked impact upon root growth and soil structure. One of the keys to Demeter bio-dynamics is the distinction between water roots and feed roots in plants. Conventional wisdom says that plants take their nutrients through soil water and that nutirients must be water soluble to be effective. This is only partly true. Rather, it is the case that, ideally, nutrients are held in suspension - that is, in a colloidal form - in humus, and plants draw upon this reserve in proportion to sunlight and other factors. The "cow horn preparation' is said to assist in this important process. This is the area of greatest difference between bio-dynamic farming and what ordinarily passes for so-called organic farming. Bio-dynamics has a different understanding of plant nutrients and place of those nutrients in well-structured soil. What appears to be "muck and magic" is underpinned by a solid body of sophisticated, if unconventional, plant science. Like all of Dr. Steiner's enterprises, bio-dynamic agriculture is based in the scientific tradition of Goethe and a practical application of Goethe's approach to the study of nature. 

The present author has heard Mr. Podolinsky lecture several times, the first occasion in the 1980s. There is no question that he is a charismatic man with an extraordinary knowledge of Australian farming and, more than that, a truly deep acquaintance with the processes of the natural world. No doubt he has very fixed opinions on a wide range of topics and is very ready to share them. What it usually amounts to, though, is simply that he is old school, as they say, and finds much that has come to pass in popular culture to be degenerate and abominable. His hatred of pop music is prodigous, for example. Also his contempt for television and the popular media. As a father, it is said, he was strongly authoritarian and forbade his children even the slightest exposure to the music and manners of their peers. There are stories that as teenagers his children would have to sneak off to the toilet to listen to a transistor radio in secret for a taste of rock n roll. People who worked for him or with him described him as a slave-driver and an uncompromising task-master. Many people could not tolerate his manner and demands, threw up their hands and stormed away. He could scandalize audiences with seemingly old fashioned generalisations about race. He could also slap down interjectors or fools with vicious effectiveness. At one lecture this author attended a hairy hippie tried to make much of a coming documentary on the bestselling permaculture favorite 'One-Straw Revolution' by Fukuoka. Podolinsky was unimpressed and, putting the interjector in his place, dismissed Fukuoka as "unimportant" much to the shock and horror of many in the audience. The great Fukuoka unimportant?! The gentleman sitting next to the author muttered something like "What an arrogant bastard!" And so it may have seemed. But the interjection was a distraction and it was imperative, for Podolinsky, that no one confuse the serious farming of bio-dynamics with the "do nothing" Zen agriculture so beloved by the "do nothing" malcontents of the counter-culture. Arrogant? Forthright, at least. 

Even so, he was also charming, engaging, persuasive, intense, and since his physical stature is slight, almost fragile, unthreatening. He walks with a limp and a walking cane. During the war he fell asleep on guard duty one night and badly burnt his foot on a kerosene heater. This infirmity, matched with his zeal, almost reminds one of the maniacal Captain Ahab. Like Ahab, he wants 110% commitment from those prepared to follow him. This is what the present author found both fascinating and unsettling about Alex Podolinsky in his heyday. He was not merely trying to inform or even impress an audience: a man on a mission, he was looking for those who would nail their coin to the mast and join him on his quest.

This quest, moreover, entailed something far beyond just farming. The invitation to join him is an invitation to embrace an entire package. As his grandfather understood, agriculture cannot be separated from economy, and nor can economy be separated from questions about the value of human labour and the whole premise of human endeavour. Alex Podolinsky, that is to say, is more than a farmer: he is a philosopher. It just so happens that farming is at the centre of his philosophical outlook because he regards it, not unreasonably, as the foundation of human civilization. His lectures would often stray from agricultural matters into areas of art and aesthetics. To illustrate a point about the root growth of clover or rye he might deviate into a long disgression about a certain piece of music by Bach. Many of his lectures are informed by architectural and sculptural analogies. It is wonderful to relate that on several occasions he has taken cohorts of rough, rugged Australian farmers - beef farmers! - and insisted on giving them classes in clay modelling so that they might better grasp his teachings about form, shape and volume. It is also wonderful to relate that his teachings on social organisation mean that he is, as he says, "totally anti-bureaucratic" to the point that the Demeter corporation, though it handles millions of dollars of produce, does not even have an accountant. There is no "middle management", no "human resources department", no "committees", nor any of the usual parasites that clutter up modern organisations and make people's lives a misery. Not only is Demeter bio-dynamics an unorthodox mode of farming, the Demeter organisation is a profoundly unorthodox organisation, run according to Mr. Podolinsky's economic and social philosophy. Just as he regards bio-dynamics as the farming of the future, so he has built Demeter to be a model of how corporations should operate in a better and future world. 

Between two parts of the article: calculated molecules.
+++
C36H30Cl2NORhSb2 | ωB97M-V/def2-TZVPD

```
! wB97M-V def2-TZVPD RIJCOSX def2/J DEFGRID3
* xyz 2 5
Rh 1.158 0.382 -1.100
Cl 3.764 -1.740 -4.542
C 3.323 -0.112 -4.556
C 3.905 0.775 -5.436
C 3.502 2.100 -5.458
Cl 4.209 3.141 -6.584
C 2.513 2.616 -4.537
C 2.079 3.950 -4.516
C 1.169 4.335 -3.568
C 0.721 3.399 -2.631
N 1.103 2.130 -2.636
C 1.969 1.742 -3.603
C 2.299 0.316 -3.645
O 1.676 -0.492 -2.907
H 4.667 0.430 -6.123
H 2.461 4.657 -5.242
H 0.802 5.352 -3.523
H 0.039 3.702 -1.848
C -2.608 1.628 0.364
C -1.680 2.712 -0.170
C -0.629 3.156 0.866
Sb 1.139 1.931 0.942
C 1.210 1.158 2.887
C 2.052 0.087 3.181
C 2.070 -0.430 4.470
C 1.264 0.126 5.457
C 0.444 1.208 5.167
C 0.420 1.737 3.882
C 2.042 -0.988 0.006
C 3.439 -0.954 -0.175
C 4.196 -2.076 0.101
C 3.572 -3.221 0.603
C 2.197 -3.238 0.835
C 1.432 -2.112 0.572
Sb -1.545 -0.202 0.710
C -2.642 -0.999 2.330
C -2.054 -1.942 3.172
C -2.814 -2.542 4.167
C -4.151 -2.199 4.321
C -4.732 -1.249 3.492
C -3.980 -0.640 2.493
C -2.314 -1.386 -0.882
C -3.668 -1.732 -0.893
C -4.187 -2.481 -1.941
C -3.363 -2.895 -2.981
C -2.016 -2.567 -2.973
C -1.492 -1.817 -1.925
H -3.397 1.392 -0.347
H -3.065 1.939 1.303
H -2.264 3.590 -0.459
H -1.213 2.342 -1.085
H -1.050 3.139 1.870
H -0.275 4.171 0.690
H 2.691 -0.347 2.425
H 2.721 -1.263 4.705
H 1.286 -0.278 6.461
H -0.173 1.648 5.941
H -0.214 2.590 3.676
H 3.931 -0.059 -0.534
H 5.267 -2.062 -0.057
H 4.165 -4.098 0.832
H 1.723 -4.127 1.233
H 0.372 -2.138 0.776
H -1.008 -2.207 3.065
H -2.363 -3.276 4.823
H -4.743 -2.672 5.095
H -5.772 -0.977 3.621
H -4.445 0.107 1.863
H -4.325 -1.436 -0.083
H -5.237 -2.747 -1.942
H -3.773 -3.483 -3.793
H -1.369 -2.902 -3.775
H -0.431 -1.602 -1.926
*
```

Properties
Energy relative to the best compared isomer or geometry (same formula, charge and spin): 34.8 kcal/mol
<S²>: 6.07
Gap between HOMO and LUMO (spin up / spin down): 6.324 / 5.373 eV
HOMO level (spin up / spin down): -12.6 / -13.6 eV
Lowest unoccupied orbital energy (spin up / spin down): -6.31 / -8.23 eV

Mulliken atomic charge list, values in e, 6 entries:
1 Rh 0.208
2 Cl -0.098
3 C 0.334
4 C -0.677
5 C 0.808
6 Cl -0.140



C36H30F6IrN8O4P2S3Se2 | ωB97M-V/def2-TZVPD

```
! wB97M-V def2-TZVPD RIJCOSX def2/J DEFGRID3
* xyz 2 2
Ir -2.416 -0.363 0.039
C -2.019 -4.573 -1.550
C -2.143 -3.114 -1.278
N -2.129 -2.574 -0.129
N -2.105 -3.306 1.018
C -2.065 -2.630 2.165
N -2.138 -3.285 3.307
S -1.826 -0.923 2.203
C -2.312 -2.127 -2.366
C -2.561 -2.509 -3.663
C -2.852 -1.542 -4.621
C -2.864 -0.215 -4.250
C -2.585 0.114 -2.933
N -2.306 -0.815 -2.010
H -1.497 -5.089 -0.745
H -1.442 -4.744 -2.457
H -3.007 -5.022 -1.682
H -2.291 -4.299 0.995
H -2.380 -4.264 3.355
H -2.172 -2.766 4.172
H -2.558 -3.556 -3.932
H -3.079 -1.835 -5.637
H -3.091 0.571 -4.956
H -2.573 1.141 -2.601
F -6.880 2.464 -0.617
C -6.021 2.451 0.378
F -5.103 3.392 0.204
F -6.624 2.605 1.534
S -5.122 0.838 0.367
O -4.098 0.879 1.428
O -4.465 0.740 -0.949
N -6.279 -0.164 0.594
S -5.900 -1.689 0.811
O -6.811 -2.586 0.200
O -4.462 -1.891 0.565
+++

All of this is an extremely ambitious undertaking in any one man's life, and yet Mr. Podolinsky's accomplishments are concrete and undeniable. He has written several books, or rather collected and published several volumes of transcripts of lectures and public talks, and he has been subject of a short documentary made by the Australian Broadcasting Corporation. See here. But one does not need to believe anything he has written or said. Instead, one need only visit one of the hundreds of farms and gardens that operate according to his methods and with his personal oversight to see the tangible applications of his philosophy. This is where Demeter bio-dynamics is so dramatically distinct to permaculture and this is why the present author is inclined to praise one and decry the other. The latter functions more like a pyramid scheme of expensive courses selling certificates to people who in turn set up expensive courses selling certificates, and yet very rarely does all of this certification translate into real results. Permaculturalists think of themselves as somehow alternative, but in fact the entire permaculture show is very conventional in its epistemology (which is crudely quantitative), its view of human labour (as quantitative "units"), its view of nature (utilitarian and materialistic) and its mode of promotion which is really just an extension of a landscape and planning course from a two-bit university in Tasmania. Alex Podolinsky has never charged anyone a cent for his advice. He lives by farming. The contrast between the trajectory and results of permaculture and those of Demeter bio-dynamics over the past three decades cannot be more stark. The sad fact is, though, that the pioneers of permculture win popular acclaim and are hailed as among Australia's gift to the world while an eccentric genius like Alex Podolinsky will most likely die an unsung hero even though he has made the preparations and planted the seeds for the renovation of a viable agriculture, post-industrial, worldwide and is, by any measure, one of the outstanding figures of our time. 


Harper McAlpine Black


1 comment:

  1. Thank you Harper for your detailed account of Alex's accomplishments.

